== To do ==
Search the contents underneath for the word "mol_weight_g_mol" and type out each line that has it.

== Source ==
........
{
  "formula": "C40H46GeIrNO4SSi2",
  "method": "ωB97M-V/def2-TZVPD",
  "elements": ["Ir", "C", "Si", "C", "C", "C", "C", "C", "C", "C", "C", "N", "Si", "C", "C", "C", "H", "H", "H", "H", "H", "H", "H", "H", "H", "H", "H", "H", "H", "H", "H", "H", "H", "H", "H", "H", "H", "H", "O", "C", "O", "C", "C", "C", "C", "S", "C", "C", "H", "H", "H", "H", "H", "O", "C", "O", "C", "C", "Ge", "C", "C", "C", "C", "C", "C", "C", "C", "C", "C", "C", "C", "C", "C", "C", "C", "C", "C", "H", "H", "H", "H", "H", "H", "H", "H", "H", "H", "H", "H", "H", "H", "H", "H", "H", "H", "H"],
  "xyz": [[2.572, 0.681, 0.376], [4.356, -0.080, 1.796], [3.130, 0.303, 3.223], [2.685, -1.353, 3.939], [3.975, 1.376, 4.491], [1.761, 1.192, 2.313], [2.182, 2.591, 2.069], [1.928, 3.795, 2.718], [2.510, 4.946, 2.220], [3.319, 4.901, 1.086], [3.513, 3.691, 0.459], [2.954, 2.587, 0.961], [-0.022, 0.909, 2.897], [-0.136, 1.405, 4.705], [-0.471, -0.907, 2.809], [-1.210, 1.965, 1.910], [5.315, 0.385, 2.042], [4.351, 0.312, 0.717], [4.498, -1.153, 1.683], [3.602, -1.826, 4.300], [2.239, -2.011, 3.190], [2.001, -1.278, 4.785], [4.800, 0.844, 4.970], [3.263, 1.654, 5.273], [4.371, 2.297, 4.060], [1.295, 3.819, 3.593], [2.335, 5.893, 2.715], [3.782, 5.793, 0.692], [4.101, 3.582, -0.442], [0.543, 0.818, 5.329], [-1.150, 1.219, 5.069], [0.078, 2.460, 4.880], [-0.088, -1.439, 3.679], [-0.110, -1.428, 1.923], [-1.561, -0.987, 2.830], [-1.195, 3.000, 2.260], [-2.231, 1.593, 2.041], [-0.989, 1.973, 0.843], [7.769, -4.001, -4.025], [7.262, -3.824, -2.792], [7.543, -4.562, -1.896], [6.334, -2.656, -2.589], [6.408, -1.491, -3.350], [5.554, -0.437, -3.089], [4.621, -0.539, -2.046], [3.575, 0.798, -1.739], [4.544, -1.720, -1.288], [5.400, -2.764, -1.558], [7.350, -3.419, -4.670], [7.152, -1.383, -4.131], [5.609, 0.474, -3.671], [3.796, -1.806, -0.510], [5.368, -3.678, -0.981], [1.455, -1.052, -0.051], [0.506, -0.324, -0.489], [0.750, 0.934, -0.484], [-0.822, -0.857, -0.892], [-1.623, 0.066, -1.804], [-3.546, -0.358, -1.749], [-4.116, -0.070, 0.098], [-3.886, -1.033, 1.082], [-4.242, -0.801, 2.405], [-4.835, 0.402, 2.763], [-5.076, 1.367, 1.795], [-4.720, 1.130, 0.474], [-4.486, 0.832, -2.963], [-4.150, 2.184, -3.045], [-4.837, 3.036, -3.899], [-5.870, 2.543, -4.684], [-6.212, 1.201, -4.616], [-5.523, 0.351, -3.760], [-3.802, -2.224, -2.237], [-4.826, -2.986, -1.676], [-5.018, -4.307, -2.056], [-4.186, -4.885, -3.004], [-3.164, -4.139, -3.574], [-2.977, -2.818, -3.192], [-1.346, -1.006, 0.062], [-0.681, -1.855, -1.312], [-1.250, 0.023, -2.829], [-1.517, 1.100, -1.471], [-3.442, -1.987, 0.817], [-4.069, -1.565, 3.153], [-5.122, 0.581, 3.792], [-5.552, 2.301, 2.067], [-4.930, 1.886, -0.275], [-3.343, 2.585, -2.440], [-4.566, 4.083, -3.952], [-6.406, 3.206, -5.351], [-7.015, 0.814, -5.230], [-5.795, -0.698, -3.719], [-5.485, -2.547, -0.934], [-5.819, -4.886, -1.614], [-4.335, -5.915, -3.301], [-2.517, -4.584, -4.319], [-2.181, -2.244, -3.656]],
  "lowdin_charge": [1.14, -0.20, 0.46, -0.16, -0.15, -0.43, -0.37, 0.01, -0.02, -0.04, -0.08, -0.08, 0.48, -0.16, -0.14, -0.13, 0.07, -0.03, 0.05, 0.05, 0.04, 0.04, 0.04, 0.04, 0.04, 0.11, 0.12, 0.11, 0.11, 0.03, 0.04, 0.02, 0.03, 0.02, 0.02, 0.04, 0.02, 0.02, 0.14, -0.47, 0.15, -0.10, 0.00, -0.08, -0.61, 0.85, -0.08, 0.02, 0.11, 0.13, 0.11, 0.08, 0.13, -0.11, -0.60, -0.13, -0.15, -0.24, 1.01, -0.26, -0.13, -0.10, -0.09, -0.09, -0.10, -0.28, -0.12, -0.09, -0.08, -0.08, -0.10, -0.28, -0.11, -0.08, -0.08, -0.08, -0.11, 0.10, 0.13, 0.08, 0.06, 0.10, 0.11, 0.11, 0.11, 0.10, 0.10, 0.10, 0.11, 0.11, 0.10, 0.10, 0.11, 0.11, 0.10, 0.10],
  "energy_ev": -137849.391,
  "mol_weight_g_mol": 957.9,
  "total_charge": 1,
  "de_lowest_kj_mol": 0.0,
  "s_squared": 0.772,
  "spin_multiplicity": 2
}


{
  "formula": "C40H46N6O4PPtSSbSi",
  "method": "ωB97M-V/def2-TZVPD",
........

== Result ==
  "mol_weight_g_mol": 957.9,